_File_
-- begin --
[1]
# C43H32ClN3O25P

A cluster of 7 separate species, C43H32ClN3O25P in total in a non-equilibrium geometry (wB97M-V/def2-TZVPD, the Open Molecules 2025 dataset).

The geometry in ORCA input format:
```
! wB97M-V def2-TZVPD RIJCOSX def2/J DEFGRID3
* xyz 1 1
C -0.118 -3.649 1.653
C -0.653 -2.843 0.949
C -1.150 -1.644 0.357
C -2.478 -1.235 0.585
C -2.816 -0.033 -0.015
P -4.509 0.762 0.114
O -5.544 -0.491 0.341
Cl -4.512 1.769 1.904
C -1.813 0.638 -0.774
C -2.189 2.007 -1.398
N -1.013 2.854 -1.575
N -0.598 0.222 -1.001
N -0.343 -0.934 -0.399
H 0.301 -4.378 2.336
H -3.164 -1.821 1.179
H -5.233 -1.001 1.106
H -2.842 2.571 -0.731
H -2.607 1.828 -2.390
H -0.414 2.520 -2.318
H -0.511 2.959 -0.703
H 0.596 -1.295 -0.549
C -8.116 5.644 2.002
C -8.168 6.976 2.143
C -7.019 7.754 2.717
O -7.119 8.961 2.801
C -5.838 7.018 3.151
C -5.791 5.689 3.013
C -6.930 4.913 2.414
O -6.816 3.704 2.295
O -4.734 4.970 3.397
O -9.229 7.688 1.784
H -8.935 5.074 1.588
H -5.023 7.585 3.579
H -4.959 4.046 3.189
H -9.011 8.618 1.986
C 3.896 -6.715 2.491
C 5.086 -7.119 2.020
C 5.436 -7.000 0.562
O 6.536 -7.366 0.200
C 4.435 -6.456 -0.344
C 3.251 -6.059 0.132
C 2.911 -6.153 1.589
O 1.815 -5.753 1.959
O 2.304 -5.556 -0.664
O 6.018 -7.640 2.802
H 3.632 -6.793 3.537
H 4.687 -6.392 -1.399
H 1.545 -5.357 -0.087
H 6.776 -7.845 2.221
C 6.279 -8.041 -6.155
C 5.388 -7.379 -5.406
C 5.721 -6.909 -4.020
O 4.872 -6.294 -3.392
C 7.036 -7.211 -3.485
C 7.928 -7.876 -4.233
C 7.607 -8.325 -5.630
O 8.465 -8.907 -6.262
O 9.140 -8.178 -3.791
O 4.161 -7.101 -5.845
H 6.052 -8.382 -7.155
H 7.256 -6.882 -2.478
H 9.582 -8.654 -4.521
H 3.720 -6.621 -5.122
C -2.107 7.669 -1.149
C -1.720 6.398 -0.966
C -1.701 5.782 0.415
O -1.365 4.618 0.553
C -2.091 6.613 1.543
C -2.473 7.881 1.349
C -2.517 8.490 -0.019
O -2.890 9.640 -0.127
O -2.835 8.675 2.353
O -1.348 5.641 -2.002
H -2.130 8.126 -2.128
H -2.059 6.164 2.527
H -3.062 9.534 1.943
H -1.099 4.738 -1.687
C 0.217 9.044 3.815
C 0.810 8.103 4.556
C 2.146 8.330 5.200
O 2.620 7.437 5.877
C 2.808 9.606 4.978
C 2.217 10.549 4.232
C 0.868 10.330 3.609
O 0.375 11.229 2.957
O 2.781 11.729 3.997
O 0.257 6.908 4.773
H -0.746 8.892 3.348
H 3.778 9.752 5.433
H 2.151 12.222 3.438
H 0.889 6.426 5.340
C 0.979 -7.950 -2.873
C 0.952 -8.694 -3.988
C -0.327 -9.283 -4.511
O -0.287 -9.931 -5.536
C -1.552 -9.051 -3.755
C -1.521 -8.313 -2.641
C -0.249 -7.701 -2.136
O -0.289 -7.020 -1.125
O -2.612 -8.072 -1.912
O 2.042 -8.957 -4.701
H 1.892 -7.516 -2.487
H -2.463 -9.495 -4.131
H -2.316 -7.519 -1.167
H 1.739 -9.505 -5.450
*
```

As for the electronic energy: -4504.2859 a.u. The calculation puts the energy above the lowest of the compared OMol25 structures with the same formula, charge and spin at 0.0 kJ/mol. Its LUMO energy is -5.33 eV. As for the strongest force on any atom: 0.04739 hartree/bohr. The value obtained for the HOMO-LUMO gap is 5.6 eV. As for the HOMO energy: -10.95 eV.



[2]
# C25H35BrN4O2PtS2

A structure of composition C25H35BrN4O2PtS2 (wB97M-V/def2-TZVPD, the Open Molecules 2025 dataset).

The geometry in ORCA input format:
```
! wB97M-V def2-TZVPD RIJCOSX def2/J DEFGRID3
* xyz 4 5
Pt 8.661 1.979 -1.394
N 9.771 1.192 -3.247
C 11.238 1.398 -3.086
C 11.518 2.591 -2.190
N 10.770 2.516 -0.912
C 11.265 1.549 0.103
C 10.635 0.173 -0.048
N 9.155 0.300 -0.168
H 9.574 0.213 -3.436
H 9.445 1.694 -4.067
H 11.712 1.562 -4.054
H 11.673 0.489 -2.679
H 11.205 3.512 -2.685
H 12.591 2.665 -2.000
H 10.770 3.440 -0.491
H 11.014 1.958 1.082
H 12.353 1.467 0.054
H 10.900 -0.443 0.811
H 10.992 -0.343 -0.936
H 8.750 0.453 0.754
H 8.759 -0.579 -0.491
O -4.256 -0.469 0.430
S -5.490 0.276 0.212
C -6.718 -0.034 1.510
C -7.264 -1.463 1.467
C -8.378 -1.674 2.506
C -7.907 -1.930 3.944
S -7.508 -3.679 4.211
O -6.647 -4.177 3.146
C -8.965 -4.579 4.425
C -9.870 -4.172 5.421
C -10.990 -4.945 5.633
C -11.177 -6.114 4.894
C -10.249 -6.523 3.936
C -9.118 -5.770 3.703
C -6.224 0.014 -1.333
C -7.367 0.759 -1.652
C -7.938 0.569 -2.894
C -7.357 -0.322 -3.794
C -6.202 -1.030 -3.469
-- stop --

_Activity_
Please reproduce all of the calculation results further above character by character.

_Solution_
[1]
# C43H32ClN3O25P

A cluster of 7 separate species, C43H32ClN3O25P in total in a non-equilibrium geometry (wB97M-V/def2-TZVPD, the Open Molecules 2025 dataset).

The geometry in ORCA input format:
```
! wB97M-V def2-TZVPD RIJCOSX def2/J DEFGRID3
* xyz 1 1
C -0.118 -3.649 1.653
C -0.653 -2.843 0.949
C -1.150 -1.644 0.357
C -2.478 -1.235 0.585
C -2.816 -0.033 -0.015
P -4.509 0.762 0.114
O -5.544 -0.491 0.341
Cl -4.512 1.769 1.904
C -1.813 0.638 -0.774
C -2.189 2.007 -1.398
N -1.013 2.854 -1.575
N -0.598 0.222 -1.001
N -0.343 -0.934 -0.399
H 0.301 -4.378 2.336
H -3.164 -1.821 1.179
H -5.233 -1.001 1.106
H -2.842 2.571 -0.731
H -2.607 1.828 -2.390
H -0.414 2.520 -2.318
H -0.511 2.959 -0.703
H 0.596 -1.295 -0.549
C -8.116 5.644 2.002
C -8.168 6.976 2.143
C -7.019 7.754 2.717
O -7.119 8.961 2.801
C -5.838 7.018 3.151
C -5.791 5.689 3.013
C -6.930 4.913 2.414
O -6.816 3.704 2.295
O -4.734 4.970 3.397
O -9.229 7.688 1.784
H -8.935 5.074 1.588
H -5.023 7.585 3.579
H -4.959 4.046 3.189
H -9.011 8.618 1.986
C 3.896 -6.715 2.491
C 5.086 -7.119 2.020
C 5.436 -7.000 0.562
O 6.536 -7.366 0.200
C 4.435 -6.456 -0.344
C 3.251 -6.059 0.132
C 2.911 -6.153 1.589
O 1.815 -5.753 1.959
O 2.304 -5.556 -0.664
O 6.018 -7.640 2.802
H 3.632 -6.793 3.537
H 4.687 -6.392 -1.399
H 1.545 -5.357 -0.087
H 6.776 -7.845 2.221
C 6.279 -8.041 -6.155
C 5.388 -7.379 -5.406
C 5.721 -6.909 -4.020
O 4.872 -6.294 -3.392
C 7.036 -7.211 -3.485
C 7.928 -7.876 -4.233
C 7.607 -8.325 -5.630
O 8.465 -8.907 -6.262
O 9.140 -8.178 -3.791
O 4.161 -7.101 -5.845
H 6.052 -8.382 -7.155
H 7.256 -6.882 -2.478
H 9.582 -8.654 -4.521
H 3.720 -6.621 -5.122
C -2.107 7.669 -1.149
C -1.720 6.398 -0.966
C -1.701 5.782 0.415
O -1.365 4.618 0.553
C -2.091 6.613 1.543
C -2.473 7.881 1.349
C -2.517 8.490 -0.019
O -2.890 9.640 -0.127
O -2.835 8.675 2.353
O -1.348 5.641 -2.002
H -2.130 8.126 -2.128
H -2.059 6.164 2.527
H -3.062 9.534 1.943
H -1.099 4.738 -1.687
C 0.217 9.044 3.815
C 0.810 8.103 4.556
C 2.146 8.330 5.200
O 2.620 7.437 5.877
C 2.808 9.606 4.978
C 2.217 10.549 4.232
C 0.868 10.330 3.609
O 0.375 11.229 2.957
O 2.781 11.729 3.997
O 0.257 6.908 4.773
H -0.746 8.892 3.348
H 3.778 9.752 5.433
H 2.151 12.222 3.438
H 0.889 6.426 5.340
C 0.979 -7.950 -2.873
C 0.952 -8.694 -3.988
C -0.327 -9.283 -4.511
O -0.287 -9.931 -5.536
C -1.552 -9.051 -3.755
C -1.521 -8.313 -2.641
C -0.249 -7.701 -2.136
O -0.289 -7.020 -1.125
O -2.612 -8.072 -1.912
O 2.042 -8.957 -4.701
H 1.892 -7.516 -2.487
H -2.463 -9.495 -4.131
H -2.316 -7.519 -1.167
H 1.739 -9.505 -5.450
*
```

As for the electronic energy: -4504.2859 a.u. The calculation puts the energy above the lowest of the compared OMol25 structures with the same formula, charge and spin at 0.0 kJ/mol. Its LUMO energy is -5.33 eV. As for the strongest force on any atom: 0.04739 hartree/bohr. The value obtained for the HOMO-LUMO gap is 5.6 eV. As for the HOMO energy: -10.95 eV.



[2]
# C25H35BrN4O2PtS2

A structure of composition C25H35BrN4O2PtS2 (wB97M-V/def2-TZVPD, the Open Molecules 2025 dataset).

The geometry in ORCA input format:
```
! wB97M-V def2-TZVPD RIJCOSX def2/J DEFGRID3
* xyz 4 5
Pt 8.661 1.979 -1.394
N 9.771 1.192 -3.247
C 11.238 1.398 -3.086
C 11.518 2.591 -2.190
N 10.770 2.516 -0.912
C 11.265 1.549 0.103
C 10.635 0.173 -0.048
N 9.155 0.300 -0.168
H 9.574 0.213 -3.436
H 9.445 1.694 -4.067
H 11.712 1.562 -4.054
H 11.673 0.489 -2.679
H 11.205 3.512 -2.685
H 12.591 2.665 -2.000
H 10.770 3.440 -0.491
H 11.014 1.958 1.082
H 12.353 1.467 0.054
H 10.900 -0.443 0.811
H 10.992 -0.343 -0.936
H 8.750 0.453 0.754
H 8.759 -0.579 -0.491
O -4.256 -0.469 0.430
S -5.490 0.276 0.212
C -6.718 -0.034 1.510
C -7.264 -1.463 1.467
C -8.378 -1.674 2.506
C -7.907 -1.930 3.944
S -7.508 -3.679 4.211
O -6.647 -4.177 3.146
C -8.965 -4.579 4.425
C -9.870 -4.172 5.421
C -10.990 -4.945 5.633
C -11.177 -6.114 4.894
C -10.249 -6.523 3.936
C -9.118 -5.770 3.703
C -6.224 0.014 -1.333
C -7.367 0.759 -1.652
C -7.938 0.569 -2.894
C -7.357 -0.322 -3.794
C -6.202 -1.030 -3.469